Thursday, June 28, 2007

For the Grandma's

Peyton wanted to wear a dress this afternoon - so I had her pick one out. Of course it took Bella all of about 2 seconds to decide she needed a dress on too - which she then picked out. I couldn't resist taking a posed picture by the pretty flowers!

Tuesday, June 26, 2007

Growing Up, But...

Quite the fashion statement!

The girls are growing up so fast, but they still love to have their snuggles! Peyton slept really late after a very early wake up and snuggle with mom. This picture was at about 8:30 this morning, after which I went and woke her up!

Bella is currently very attached to this blanket. Thank you Grammy Sue for letting us take it home last night! Bella would not be seperated from it all day today!

Saturday, June 23, 2007


Where did all the blonde hair come from?


The girls love to play in the van. They take turns "driving" then they start getting into trouble and we have to get out. But it's fun while it lasts!

So Pretty

Peyton got her hair cut at the salon on Friday. It's only the second time she's been, so it's a big treat. Complete with flip, fairy dust sparkles and purple bow! She really loves it!

Wednesday, June 20, 2007


Who knew that pea gravel could be this much fun! The girls had to conquer the pile last night.

We're making good progress on the outside of the house anyways. Looks like the inside should get started the first week of July!

Who Needs a Vegetable Garden

The raised bed that previously held deer dinner roses was going to become our little vegetable garden. Well the girls quickly decided that the dirt was way more fun than carrots & corn. They have such a great time I may need to have a little dirt/sand patch at the new house too.

Sunday, June 17, 2007

All the Monkeys

Bella was determined to get into this baby doll carrier. She finally made it!

We had Wes, Tracy, Grandma, Poppa and of course Sophia and Ceci over tonight for dinner. The girls were great. They sure can be sassy when they want to be though - mostly my kids! It's so great to see Soph and Peyton play together and get along so great. I'm so glad they're so close in age. Hopefully, as Ceci and Bella get older they'll play together too.

Friday, June 15, 2007

Birthday Fun

Peyton and Bella had a great time at our friend Parker's birthday party this evening. They set up a bike riding course out in front of their house - among other things.

All the big kids sat right down for gift opening - then comes Bella. She stepped over/on one little boy and pushed herself right up front next to big sis!

The Dancing Never Stops

Peyton was putting on a show with some of her tap and ballet moves. They love the stage by the fountain at Starbucks! I happened to catch Bella in what looks like a kissy face.

Dress Up Days

Bella came out of Peyton's room carrying the tutu. She knew exactly how it was suppose to go on and what to do once it was on! I tried to get some pictures while they were dancing and then finally got them to sit for quick break. Peyton has a skirt on for her top and a blanket wrapped around for the skirt. And "of course" the sparkly shoes!

/*
The following is a PBE with a Hubbard U calculation of a geometry-optimized Li4CrFe3O8 structure, from the Materials Project database.

Calculated values
The value obtained for the calculated density is 4.12 g/cm³. The calculation puts the energy of formation at -2.056 eV per atom. Its polymorph energy (0 for the lowest one) is 2 kJ/mol of formula units. The crystal system is trigonal.

a b c (Å): 5.9912 5.9912 5.9912
angles (deg): 59.77 59.77 59.77
With the nearest neighbours (Å) after each atom.
Sites, in units of the cell vectors:
1 O 0.2419 0.2419 0.7442  1 Cr 2.05, 2 Fe 2.06, 3 Li 2.18
2 O 0.2558 0.7581 0.7581  1 Cr 2.05, 2 Fe 2.06, 3 Li 2.18
3 O 0.2419 0.7442 0.2419  1 Cr 2.05, 2 Fe 2.06, 3 Li 2.18
4 O 0.7425 0.7425 0.7425  3 Fe 2.05, 3 Li 2.18
5 O 0.2575 0.2575 0.2575  3 Fe 2.05, 3 Li 2.18
6 O 0.7442 0.2419 0.2419  1 Cr 2.05, 2 Fe 2.06, 3 Li 2.18
7 O 0.7581 0.2558 0.7581  1 Cr 2.05, 2 Fe 2.06, 3 Li 2.18
8 O 0.7581 0.7581 0.2558  1 Cr 2.05, 2 Fe 2.06, 3 Li 2.18
9 Fe 0.5000 0.5000 0.0000  6 O 2.05-2.06
10 Fe 0.5000 0.0000 0.5000  6 O 2.05-2.06
11 Fe 0.0000 0.5000 0.5000  6 O 2.05-2.06
12 Li 0.0000 0.5000 0.0000  6 O 2.18
*/
• Here the page continues:


Peyton played hooky from school on Tuesday morning! We went to the park and met some friends instead. They had a great time. Bella has finally mastered climbing up and going down the slide by herself - hurray!

Monday, June 11, 2007

Birthday Breakfast

I had a great birthday breakfast with Chris and the girls. We went to Grammy's which is out Northshore Drive at Agate Bay. We were the only customers for most of our breakfast, so it was o.k. that the kids were a little noisy and got all the horrible noisy toys out of the toy box at the restaurant. They had a great time - not so sure about Chris though.

Rainy Day

These are from last week. Peyton still loves to work on the computer. And yes, Bella likes to climb into any chair - or doll stroller - and look at books.

Peyton's Recital

Peyton had her first big dance recital on Saturday night. Saturday morning was the "dress" rehersal - clearly I missed the dress part! Oh well - at least I wasn't the only mom that didn't get that part of the instructions. Peyton is the one in the dress on the left. I got a little bit of video during rehearsal, which is lucky since they didn't allow any video of flash photos during the actual performance. I guess I'll have to buy the video! I did get one good photo of Peyton all dressed up backstage. She loved the performance and most of all loved watching all the other "big" girls do their routines. She and I stayed until almost 10 pm watching.

Friday, June 8, 2007

Future Farmers of America

Went out to the house tonight to check up on things. Chris wanted to see what his General Contractor (me) had gotten accomplished. Peyton was showing Daddy where her and Bella's room was. Then she decided to build a "fire" and roast some marshmallows for us.

The equipment was still at the house - this tractor and an excavator. Of course the girls had to sit on the tractor. Peyton decided last minute that it was too high, but Bella had no fear - as you can tell. One more stump to go and a little grading. It looks a lot different now - very excited to see some more progress.

Tuesday, June 5, 2007

Balloons, Cupcakes & Stories

Bella climbed right into bed with Peyton tonight! Maybe the bunkbed idea is so nuts after all!

I took the girls to Red Robin for dinner tonight - Peyton has been wanting to go for quite a while. They both did great and got to bring home a balloon!